Incident Description: Context: I had a clown car and was doing various minor stuff with it agaisnt people, the worst thing I did was showing people the armory I painted with colorful reagent and then scooping Sandy over and over having fun with her, until she said she was feeling kinda bad so I cured here and I let her go to not bother her too much. No one complained about it on comms except warden saying “CLOWN CAR!!” and that’s it. Even more important to know, I had AA and was the acting clownptain, and I was doing more or less my captain job, not griefing the station too much and just wandering in general.
Enter Keerasa-Jei. Miner, traitor and backstabber. They went to chemistry and made a EMP grenade with no prior interaction with me. When they saw me, the shoo’d me, and I said “bow”. I knew he had a grenade for me because of the sprite, and basically there was some sort of a short fight between us. He threw grenade and I scooped him and managed to not get hit by it. After that, the make a complain about clowns in comms and go completely silent. I try talking to them a couple times, telling them that if they said sorry I would let them go free. Nothing. Dropped them to check if they were dead or something. Nope, they standed back. At one point their character sprite moved after dropping them again and letting them stand back. Thats when I knew they were right there. Behind the screen, at the keyboard, refusing to interact with me. I went to the teleporter and sentthem into lavaland by dropping them out of the clown car. After that, inmediate message on comms about clowns again. This all sounds like OOC IC salt towards not only the clown but also me as a player (more information about that in Additional Information). If getting caught by security and inmediatly dropping all RP is bad, then it’s the exact same thing for when an antag does it to you. Also, that EMP towards me really sounds like something OOC and not IC too.
Additional Information: They said this on OOC, which is what made me decide to write this report because it looks like they made everything based on me the player and my character
cute, well I’ll give my side and let this sit. I was in chem originally to make chloral hydrate to knock out my target but I saw you go flying by in a clown car and decided to make an EMP to see if that would immobilize the car. I didn’t much want to get scooped up during my own things. I would like to remind you that traitors don’t have to work together and just because two people are traitors does not mean they are allies.
after you picked me up I did make the comment about clowns, then I tabbed into another tab to try and learn more about clown cars, sorry I didn’t lean over and bow down to your every request, I wanted to learn if there was any way to deal with it, I tab back in after hearing the eject noise and see I’m on the floor, turn, get scooped up and tab back to resume my learning.
# 1
Starting from a PBE-relaxed structure, the powder X-ray diffraction pattern of Nd12Ho7Er was computed for Cu Kα (λ = 1.5418 Å).

Atomic structure:
```
data_Nd12Ho7Er
_space_group_name_H-M_alt 'R -3'
_space_group_IT_number 148
_space_group_name_Hall '-R 3'
_cell_length_a 12.2539
_cell_length_b 12.2539
_cell_length_c 15.7808
_cell_angle_alpha 90.00
_cell_angle_beta 90.00
_cell_angle_gamma 120.00
loop_
_atom_site_label
_atom_site_type_symbol
_atom_site_fract_x
_atom_site_fract_y
_atom_site_fract_z
_atom_site_occupancy
Nd1 Nd 0.0215 0.5735 0.2216 1
Nd2 Nd 0.0599 0.4686 0.5797 1
Ho1 Ho 0.0000 0.0000 0.0000 1
Ho2 Ho 0.0541 0.8672 0.2994 1
Er1 Er 0.0000 0.0000 0.5000 1
```

The 10 most intense peaks (15° ≤ 2θ ≤ 90°), by angle:
d/Å  I/Imax  index
3.166  21  0 2 4
3.025  29  0 1 5
2.935  38  0 3 3
2.893  100  1 3 1
2.813  47  2 1 4
2.758  65  4 -1 2
2.713  18  2 0 5
2.417  15  1 1 6
1.738  14  1 4 6
1.699  17  5 2 0

# 2
Starting from a PBE-relaxed structure, the powder X-ray diffraction pattern of TlGeO2 was computed for Cu Kα (λ = 1.5418 Å).

Atomic structure:
```
data_TlGeO2
_space_group_name_H-M_alt 'R -3 m'
_space_group_IT_number 166
_space_group_name_Hall '-R 3 2"'
_cell_length_a 3.0758
_cell_length_b 3.0758
_cell_length_c 22.5340
_cell_angle_alpha 90.00
_cell_angle_beta 90.00
_cell_angle_gamma 120.00
loop_
_atom_site_label
_atom_site_type_symbol
_atom_site_fract_x
_atom_site_fract_y
_atom_site_fract_z
_atom_site_occupancy
Tl1 Tl 0.0000 0.0000 0.0000 1
Ge1 Ge 0.0000 0.0000 0.5000 1
O1 O 0.0000 0.0000 0.1242 1
```

The 10 most intense peaks (15° ≤ 2θ ≤ 90°), by angle:
d/Å  I/Imax  index
3.756  86  0 0 6
2.645  30  1 0 1
2.592  100  0 1 2
2.408  63  1 0 4
2.052  14  1 0 7
1.935  52  0 1 8
1.720  30  1 0 10
1.538  25  1 1 0
1.423  31  1 1 6
1.190  15  1 1 12

# 3
Starting from a PBE-relaxed structure, the powder X-ray diffraction pattern of Ac2Nd3Ho8 was computed for Cu Kα (λ = 1.5418 Å).

Atomic structure:
```
data_Ac2Nd3Ho8
_space_group_name_H-M_alt 'R -3 m'
_space_group_IT_number 166
_space_group_name_Hall '-R 3 2"'
_cell_length_a 6.6313
_cell_length_b 6.6313
_cell_length_c 36.7988
_cell_angle_alpha 90.00
_cell_angle_beta 90.00
_cell_angle_gamma 120.00
loop_
_atom_site_label
_atom_site_type_symbol
_atom_site_fract_x
_atom_site_fract_y
_atom_site_fract_z
_atom_site_occupancy
Ac1 Ac 0.0000 0.0000 0.1380 1
Nd1 Nd 0.0000 0.0000 0.3130 1
Nd2 Nd 0.0000 0.0000 0.5000 1
Ho1 Ho 0.0000 0.0000 0.2291 1
Ho2 Ho 0.9995 0.4998 0.2789 1
```

The 10 most intense peaks (15° ≤ 2θ ≤ 90°), by angle:
d/Å  I/Imax  index
3.316  50  1 1 0
3.201  36  1 1 3
2.891  100  0 1 11
2.837  81  2 0 2
2.675  49  2 0 5
2.575  26  1 1 9
2.520  36  0 2 7
1.821  53  1 2 11
1.658  43  2 2 0
1.438  24  3 1 11

# 4
Starting from a PBE-relaxed structure, the powder X-ray diffraction pattern of Tb2Er2Th3 was computed for Cu Kα (λ = 1.5418 Å).

Atomic structure:
```
data_Tb2Er2Th3
_space_group_name_H-M_alt 'C 1 2/m 1'
_space_group_IT_number 12
_cell_length_a 17.392
_cell_length_b 3.464
I’m sorry you believe my IC actions were driven my OOC motivation, they weren’t, they were driven by me wanting to learn more about it, which I suppose could be argued to be OOC.
As for the OOC comment yes I won’t deny that, that was me salting in Dchat very much as from what I see of you every round, traitor or not, you make your sole purpose in the round to make things more insufferable for all the players, tiding wherever you want then getting shitty with players if they call you out. I have never once had a single positive interaction with you and I was salting.
Well I can certainly believe that. I hope that you do understand that from my perspective it looked like you were avoiding RPing with me and that this is is a missunderstanding.
A shame that that’s the only thing you’ve seen from me. If it has anything to do with the last couple of days, I’ve rolled tot like 4-5 times in a row now. I am usually MUCH calmer when I’m not an antag and I rarely do anything more than slipping and lubing security if I’m doing a little bit of trolling shittery, and I have tons of non prank related gimmicks done, and I don’t aim to ruin anyone’s round (unless you’ve been a super duper asshole to me I won’t come after you). In fact, as an antag, I try to avoid ruinnings people round permanently, cuz I feel bad, so I don’t do it as non antag either. As an example,the other day I ended up doing manslaughter oh the HoS by accident after being chased for 25 minutes or so and I gave myself in and served time because that was too much and I’m not that big of a shitter. Hopefully you can someday stumble upon one of my fun gimmicks and wash this image of me just wanting to fuck over other people rounds. Later today or tomorrow I plan to do a Quiz Game Show that I’ve been wanting to do for the last couple of days but I keep rolling tot. Hope I can see you there, or at any other fun event.